Thursday 4 August 2022

Children, chickens and holes

Hi Everybody!

Today I have another piece for Chris's challenge at AJJ, when we were young. Today I took the theme literally, and used photos from me and my husband when we were young! I have my teddy, he has his toy dog. Sorry, not much bla bla today, I'm extremely shaky today and typing is hard:

I'm also linking to Nicole's Friday Face off!

And I have a sunshine tag for Michele's challenge at Tag Tuesday, rather late but better than never!
And some funnies:

 Have a great day, stay safe,
and thanks a lot for coming by!

Tuesday 2 August 2022

2nd on the 2nd

Hi Everybody!

Today is Elizabeth's 2nd on the 2nd and I have some journal pages made back in 2016  for our 'Back to School' challenge' at AJJ, as this reminds me a bit of Chris's 'when we were young' challenge.

The first shows a group of children. I have hidden myself in the picture, and my mum and Erika are also both there. 

School uniforms in England:

Back in the 1930s - Erika is the 2nd from the right. They are all dressed in their sport dresses:

Here the kids are waiting to go back to school. The building in the background is Tower College, where I taught for a while:

A Christmas disyplay made with an art class in the 1980s:

Another art group where we made papier maché heads. This must have been in the 1970s. The kids must all me getting on for 60 these days!

Some thinkies / funnies:

Have a great day, take care,
and thanks a lot for coming by!

Monday 1 August 2022

New challenge at AJJ

Hi Everybody!

It's nice to be back after my month of rest and quiet. I missed being here but it was really necessary to step aside for a bit.

Today we are starting a new challenge at AJJ and this time our lovely Chris  of Pear shaped crafting is hosting, and her theme is, 'When we were young'. I'm sure we all have lots of memories of former times, and here you can put them into your journal pages.

I remembered my head for this one! The flowers were painted onto the blue background, and the head mounted onto the background. The figures of the kids were added digitally using images from Serif. The quote is from the book of Corinthians, and was also added digitally:

This evening we will also be celebrating Elizabeth's T sTands for Tuesday linky party, so here are some fitting images:

And some funnies:

Have a great day, take care,
and thanks a lot for coming by!

Thursday 30 June 2022

Taking a summer break

-- Unrelated to this page: materials data --
********
(1)
The following is a calculated powder diffraction line list of Rb2GaHgCl6. It was derived from a structure optimized by DFT (PBE), using λ = 1.5418 Å (Cu Kα).

Largest 10 diffraction maxima, low angle first, 2θ = 10–90°:
two_theta	d/Å	Rel. int.
16.83	5.269	25.1
23.89	3.725	100.0
28.09	3.177	17.0
34.03	2.634	61.5
42.01	2.151	45.1
48.90	1.863	41.0
55.12	1.666	23.0
60.91	1.521	13.5
66.39	1.408	25.6
81.74	1.178	16.9

Structure:
```
data_Rb2GaHgCl6
_chemical_formula_sum 'Rb8 Ga4 Hg4 Cl24'
_space_group_name_H-M_alt 'F m -3 m'
_space_group_IT_number 225
_space_group_name_Hall '-F 4 2 3'
_cell_length_a 10.537
_cell_length_b 10.537
_cell_length_c 10.537
_cell_angle_alpha 90.00
_cell_angle_beta 90.00
_cell_angle_gamma 90.00
loop_
_atom_site_label
_atom_site_type_symbol
_atom_site_fract_x
_atom_site_fract_y
_atom_site_fract_z
Rb1 Rb 0.250 0.250 0.250
Ga1 Ga 0.000 0.000 0.000
Hg1 Hg 0.000 0.000 0.500
Cl1 Cl 0.000 0.000 0.231
```


(2)
The following is a calculated powder diffraction line list of InGa2Cl7. It was derived from a structure optimized by DFT (PBE), using λ = 1.5418 Å (Cu Kα).

Largest 10 diffraction maxima, low angle first, 2θ = 10–90°:
two_theta	d/Å	Rel. int.
16.41	5.401	100.0
20.08	4.422	49.2
20.24	4.387	82.8
21.82	4.073	49.0
23.64	3.763	43.7
26.17	3.405	57.7
28.66	3.115	69.8
28.89	3.091	47.0
29.93	2.986	79.6
42.00	2.151	41.8

Structure:
```
data_InGa2Cl7
_chemical_formula_sum 'In4 Ga8 Cl28'
_space_group_name_H-M_alt 'P n a 21'
_space_group_IT_number 33
_cell_length_a 12.413
_cell_length_b 9.380
_cell_length_c 10.963
_cell_angle_alpha 90.00
_cell_angle_beta 90.00
_cell_angle_gamma 90.00
loop_
_space_group_symop_operation_xyz
'x,y,z'
'-x,-y,z+1/2'
'-x+1/2,y+1/2,z+1/2'
'x+1/2,-y+1/2,z'
loop_
_atom_site_label
_atom_site_type_symbol
_atom_site_fract_x
_atom_site_fract_y
_atom_site_fract_z
In1 In 0.112 0.139 0.000
Ga1 Ga 0.116 0.617 0.866
Ga2 Ga 0.176 0.067 0.623
Cl1 Cl 0.014 0.795 0.815
Cl2 Cl 0.022 0.159 0.675
Cl3 Cl 0.035 0.461 0.982
Cl4 Cl 0.158 0.874 0.513
Cl5 Cl 0.209 0.522 0.720
Cl6 Cl 0.216 0.547 0.279
Cl7 Cl 0.243 0.732 0.994
```


(3)
The following is a calculated powder diffraction line list of K3GaCl6. It was derived from a structure optimized by DFT (PBE), using λ = 1.5418 Å (Cu Kα).

Largest 10 diffraction maxima, low angle first, 2θ = 10–90°:
two_theta	d/Å	Rel. int.
14.36	6.167	32.2
16.60	5.341	46.5
23.56	3.777	55.8
28.96	3.084	39.3
33.56	2.671	100.0
37.66	2.389	15.9
41.41	2.180	19.1
48.19	1.888	59.1
60.00	1.542	17.6
80.41	1.194	19.0

Structure:
```
data_K3GaCl6
_chemical_formula_sum 'K12 Ga4 Cl24'
_space_group_name_H-M_alt 'F m -3 m'
_space_group_IT_number 225
_space_group_name_Hall '-F 4 2 3'
_cell_length_a 10.682
_cell_length_b 10.682
_cell_length_c 10.682
_cell_angle_alpha 90.00
_cell_angle_beta 90.00
_cell_angle_gamma 90.00
loop_
_atom_site_label
_atom_site_type_symbol
_atom_site_fract_x
_atom_site_fract_y
_atom_site_fract_z
K1 K 0.000 0.000 0.000
K2 K 0.250 0.250 0.250
Ga1 Ga 0.000 0.000 0.500
Cl1 Cl 0.000 0.000 0.276
```
********

Hi Everybody!

June has sped by much too quickly And we are heading towards  July. In a few weeks the shops will be full of Halloween decorations and a few weeks after that the Christmas decorations will be everywhere.

But in the meantime I'm planning on having a break for the whole of July. At the moment I have 2 or 3 days where I feel more or less normal, then I get violent shivering fits and my temperature soars and I feel really ill for some days. This seems to be caused by my auto-immune illness. Anyway, to cut a long story short, I am taking time off till the beginning of August. I have one more tag for Sandie's holiday challenge at Tag Tuesday; this is what I want to do for the next 4 weeks:

Have a great month, take care, 
And I'll be back soon!

Tuesday 28 June 2022

New challenge at Tag Tuesday

Hi Everybody!

Today we are starting a new challenge at Tag Tuesday, and this time our lovely and talented Sandie is hosting. She helps a lot with the admin etc, too, for which I am very thankful. 

She has chosen  Holidays /Travel as her theme, very fitting for this time of year when many people go on vacation. As always, you have 2 weeks to link to us, and tags of all formats are welcome.

I chose Paris as my theme, as that's always a great place to spend some time. The first one has a stamped background, which was layered and sewed. The small pictures are from Crafty Individuals:

The second tag is made with an imge from gecko Galz which was stamped with stamps and stamps! This was also layered and sewn:

This one was a scan, so the colours are paler:

We have had ver changeable weather, from super hot to wild and stormy:

The evening sky:

And some funnies:

Have a great week, take care,
and thanks a lot for coming by!